Long Live Summons!

Chapter 152: [Getting started with Pharmacopoeia]


Just as Yue Yang stretched out his wolf hand and was about to reach out to the mysterious beauty, suddenly there was a thunderbolt in the sky.

Then, a dragon chant resounded throughout the space.

On the tranquil surface of the hot spring lake, countless waves boiled, forming a huge vortex.

Yue Yang stared at the sky dumbfounded. At some point, there was a silver-white dragon-shaped creature flying around the sky. Its graceful figure undulated, its long tail reverberated, and its movements were extremely graceful... Ten seconds later, the silver-white dragon The shape creature lowered its head and swooped into the vortex of the lake, without any shock or sound.

"My kidney, is there really a dragon in this world?" Student Yue Yang was stunned, not knowing how to react for a long time.

"Little human boy, I'm not a dragon, I'm a dragon, almost the same, but slightly different." A masked woman wearing a white robe, a silver ring on her head, and a silver veil so she couldn't see her real face appeared in front of Yue Yang , and frightened him again.

This woman's face is as smooth as jade, but her hair is full of neatly combed silver threads.

It seems very old, but not old.

The temperament is hidden, a unique classical and elegant style, giving people an extremely pleasing feeling.

Yue Yang hurriedly withdrew the wolf's hand that was reaching out to the mysterious beauty, and while pretending to be a good boy, he asked: "Are you?"

The masked woman with silver hair but no old appearance made a gesture gracefully, Yue Yang couldn't understand what it meant at all, but thought it was useful, and kept it firmly in his heart. The woman said softly: "Little human boy, you can call me Grandma Chi. I used to be the owner of this lake, but because the Marquis of Zijin came to ask for the pharmacopoeia that I kept, he resorted to violence when he didn't agree with each other. He was also asked to imprison him in the dimensional space with treasures. If he hadn’t left Longteng Continent, the treasures would have failed, and I wouldn’t be able to get out now! Young human genius, thank you for saving me, I don’t have anything external to thank you , why don't you drink a cup of dragon fruit pulp!"

The masked woman who claimed to be Granny Chi summoned the Platinum Book.

And summoned a group of holy brilliance, covering Yue Yang and the mysterious woman.

Yue Yang only felt that there was a hot current penetrating through the top of his head, traveling through the meridians, and felt that his whole body was bathed in brilliance. The skin on the outside and the bones inside were so uncomfortable that people wanted to groan. A kind of reborn vitality quickly gathered in the body .

Skin wounds heal at a speed visible to the naked eye.

The bruises from the blows on the body and the burns from the magic fire are also constantly improving, the swelling is reduced as before, the bad skin falls off, and the new skin is as tender and smooth as a baby.

In addition to being unable to eliminate the fatigue after the battle, even the aura in the body has recovered a lot.

Yue Yang jumped up from the ground, until now, he still can't believe that his serious injury can recover so quickly.

The mysterious beauty who was seriously injured and fainted also slowly opened her eyes, but because her body was weak, her body was still unable to move.

"It seems that your tattooed flowers will take a long time to end the battle. Perhaps, you can take your companions to my residence to rest first, and wait until you fully recover before leaving!" The masked woman finished speaking, turned around slowly, and walked to the lake.

Between two parts of the entry: crystal structures:
~~~
Diffraction record for Ac4S5. The powder diffractogram is calculated, not measured: it uses a DFT-relaxed cell (GGA-PBE, Alexandria) and a wavelength of 1.5418 Å.
No peak broadening, texture or thermal motion is included.

Crystal structure
abc: 3.8805 9.2464 14.4637
angles: 90.00 90.00 90.00
Space group Immm (No. 71)
Symmetry-distinct sites (fractional):
Ac1 0.0000 0.2153 0.1270 (multiplicity 8)
S1 0.0000 0.1553 0.5000 (multiplicity 4)
S2 0.0000 0.5000 0.2524 (multiplicity 4)
S3 0.0000 0.5000 0.5000 (multiplicity 2)

Main lines, in order of rising 2θ (10° ≤ 2θ ≤ 80°):
19.20°, I = 100
23.74°, I = 61
24.62°, I = 54
29.56°, I = 87
30.71°, I = 81
31.41°, I = 90
35.48°, I = 58
37.26°, I = 37
38.83°, I = 32
43.66°, I = 26
57.47°, I = 33
61.15°, I = 27
~~~

Yue Yang rolled his eyes, quickly picked up the mysterious beauty, and followed closely behind.

The wolf wolf villain pretended not to notice, and secretly touched the mysterious beauty's still bulging Xiangyu Xuefeng after being restrained. On the surface, of course, he had an appearance of 'I am a good boy, and I have never done anything'. When hugging the mysterious beauty and bending down to pick up her ancient books, Yue Yang took the opportunity to lean down and sniff her body fragrance, and found that the fragrance was so sweet and refreshing that his heart almost didn't melt.

The mysterious beauty rolled her eyes in reproach. She has never seen such a person. He is clearly a wolf, but still pretends to be a child. I can't stand him!

If she could move her hands and feet, she would have knocked him away with a single book.

The masked woman who claimed to be Granny Chi walked slowly in front, and the lake split open automatically, revealing not the bottom of the lake, but a wall of lake water, and at the very front, there was a blue water gate.

While hugging the fragrant body of the mysterious beauty, Yue Yang reached out to touch the water wall curiously.

If you touch it with your fingers, it will produce ripples like the surface of a lake...

After passing through the water gate, Yue Yang found himself walking into a strange world, not very big, maybe about the same size as the bottom of the lake, but completely different from the bottom of the lake, there is no water here, but when looking at the surrounding water walls, you can see fish swimming Come and swim. There are all kinds of plants here, as well as many gentle animals, such as turtles that crawl slowly, or small crabs that slip quickly. This is not the same world as the bottom of the lake, but you can see everything at the bottom of the lake and on the surface of the lake, even the little tattooed flower witch outside is sleeping soundly on the flower bed, while the rest of the tattooed flowers are constantly sucking the blood of the blood sickle demon. The blood and energy can also be seen clearly.

Inside, the decorations are very similar to human dwellings.

The masked Granny Chi invited Yue Yang and the mysterious beauty to sit down. There was a cute little monster that Yue Yang couldn't recognize. It held a silver plate in its little paws and presented two cups.

Yue Yang glanced at it, it was very timid, it turned into a cloud of white smoke and disappeared.

Granny Chi pointed a finger, and there was a small white jade pot, and she poured a cup of fragrant white milk milk for Yue Yang and the mysterious beauty very gracefully.

At this time, the mysterious beauty recovered a little bit of physical strength, she pushed away Yue Yang's bad hand that supported her, sat up with difficulty, and nodded her thanks to Granny Chi on the opposite side. But maybe because of Yue Yang's presence, the mysterious beauty still didn't say her name and family, but made an exquisite gesture with ten light-white jade fingers, which seemed to represent a certain identity.

Regarding this, Yue Yang still didn't know anything about it, so he first memorized the gesture in his heart.

As long as someone who understands it is found, it is impossible to believe that the identity of this mysterious beauty cannot be found... Yue Yang thinks that maybe City Lord Luo Hua will know what these gestures represent.

For the beauty's shallow sip and careful taste, Yue Yang swallowed a small cup of white milk into his stomach with the speed of Zhu Bajie eating ginseng fruit. He felt a kind of cool air coming out of his intestines and stomach, dissipating into aura, filling his whole body, and there were waves of waves that cleanse his body and stimulate his potential. Shout out 'cool'!

"Since you like it, let's drink another glass!" The masked Granny Chi added another glass to Yue Yang, and immediately poured another glass for the mysterious beauty.

"Thank you, Granny Chi..." The mysterious beauty was very polite, and quickly bowed to thank her.

But the time-traveling man didn't. He knew that dragon fruit juice was a good thing, so he was not polite at the moment: "It would be even better if I could have another cup!" She was so annoyed that she almost picked up an ancient book and smashed him on the head. Fortunately, she has no strength now, so classmate Yue Yang escaped.

The silver masked Granny Chi didn't care, but admired Yue Yang's honesty and straightforwardness, with a smile on her brows: "If the three cups of dragon fruit juice can give me a little thank you, I will be the happiest."

For the third cup, Yue Yang was reluctant to drink it.

He was going to take it back and give it to Yue Bing or Yue Shuang to drink.

Yue Yang reckoned that this was the most essential fruit pulp in the hard-shelled dragon fruit. Drinking it with an innate body like himself would have such a great potential to develop, let alone Yue Bing and Yue Shuang, so he was determined to make it This dragon fruit pulp was brought back to the two sisters.

While Grandma Chi was chatting with the two mysterious beauties, Yue Yang moved the cup under the table, secretly conjured a small bottle from the Lich Ring, and filled it again. Even that cup was washed with water from another bottle for two hours. Install it all over. This kid's actions were sneaky, and the mysterious beauty sitting on the side was really dizzy. Since it's fine to ask for two drinks, he still pretends to be back? It is estimated that the shameless person who eats and takes in the legend is talking about this kid!

She actually underestimated the shamelessness of the time-traveling man.

If it wasn't for the fact that there wasn't much whey milk poured out of the jade pot, student Yue Yang even wanted to steal the jade pot back.

"You guys are amazing, you can defeat Zijinhou at such a young age." Grandma Chi told Yue Yang about the results of defeating Zijinhou on the lava of the volcano, but she smiled and shook her head: "Zijinhou is very cunning, he should not die, he just borrowed the help of falling into the lava of the volcano. The lava is used to make a false impression to deceive you. Because the demon kings are all of the blood of hellfire, the fire and high temperature are beneficial to them, not harmful... He is not dead, but seriously injured, so he temporarily fled back to the magic abyss Go, given time, he will definitely return to Longteng Continent, you have to be very careful about his future revenge!"

"Ah!" Student Yue Yang was dumbfounded when he heard that, wouldn't he die if he fell into the lava? This Marquis of Zijin is simply weaker than the life of a cockroach!

"I finally figured it out now, why Zijinhou couldn't even beat us? Besides, he only summoned a blood sickle demon at the seventh level of gold, and didn't summon a life guardian beast. It turned out that he had fought with you, Granny Chi, before. The combat power has been greatly reduced..." The mysterious beauty came to her senses and suddenly realized.

"No way?" Yue Yang sweated profusely.

But think about it, the statement of mysterious beauty also makes sense.

If Grandma Chi hadn't fought Zijinhou before, which reduced Zijinhou's combat effectiveness, this battle would be hard to say!

First of all, Marquis Zijin’s Life Guardian Beast has never been summoned, and he is a majestic prince of the Demon Abyss. There is no reason why there is only a gold level 7 blood sickle demon and a silver level 6 ugly monster. There must be other powerful battle beasts. beast.

When Marquis Zijin was most in danger, he didn't even summon him.

It proved that his strength had been exhausted in the previous battle with Granny Chi, and he could even kill him, so he ran for his life in such embarrassment. However, thinking about it the other way around, it shocked Yue Yang into a cold sweat. If Marquis Zijin hadn't fought Granny Chi, but under the strongest strength, he and the mysterious beauty would have lost miserably under this guy's terrifying attack, right

After defeating and imprisoning Grandma Chi, Yu Li was able to fight him to that extent. This Marquis of Zijin is really a pervert!

"Actually, it's mainly you guys. I have a lot of special types of war beasts, and I haven't fought with the Marquis of Zijin for a long time." Granny Chi is relatively modest, but Yue Yang is not a fool. A dragon that can transform people, I can't even see it with my third-level insight. It would be no wonder if Granny Chi, who showed all her strength, did not kill Zijin Hou more than she did.

"Marquis Zijin's body has been destroyed, it may take a long time to recover, we still have time to practice and improve." The words of the mysterious beauty were actually meant for Yue Yang, to encourage him.

"One year, perhaps only eight or nine months, Zijinhou will be able to recover his body and return to Longteng Continent. As for fully recovering to his peak strength, it should be about a year and a half. Within a year, he should not treat you To take revenge, but to hide and restore combat power." Granny Chi said a time limit, one year, and Yue Yang felt a headache after hearing this.

Crystal structures from another source follow >
- - -
(1)
For LiSm2Mg8, DFT lattice parameters and positions (GGA-PBE) gives the computed powder X-ray diffraction pattern in this record (Cu Kα (weighted mean of Kα1 and Kα2)).

Structural model:
```
data_LiSm2Mg8
_chemical_formula_sum 'Li2 Sm4 Mg16'
_symmetry_space_group_name_H-M 'C 1 2/m 1'
_symmetry_Int_Tables_number 12
_symmetry_space_group_name_Hall '-C 2y'
_cell_length_a 16.390
_cell_length_b 4.995
_cell_length_c 6.803
_cell_angle_alpha 90.00
_cell_angle_beta 102.12
_cell_angle_gamma 90.00
loop_
_atom_site_label
_atom_site_fract_x
_atom_site_fract_y
_atom_site_fract_z
Li1 0.000 0.000 0.000
Sm1 0.220 0.500 0.657
Mg1 0.025 0.500 0.733
Mg2 0.088 0.000 0.429
Mg3 0.147 0.500 0.146
Mg4 0.158 0.000 0.883
```

Peak list (10 most intense, 5 to 70 degrees two-theta, low angle first)
- 2θ = 11.04°, I 1000, hkl 2 0 0
- 2θ = 13.31°, I 244, hkl 0 0 1
- 2θ = 22.24°, I 419, hkl 1 1 -1
- 2θ = 23.63°, I 265, hkl 1 1 1
- 2θ = 26.12°, I 375, hkl 3 1 -1
- 2θ = 31.83°, I 212, hkl 1 1 -2
- 2θ = 33.21°, I 265, hkl 5 1 0
- 2θ = 33.57°, I 587, hkl 5 1 -1
- 2θ = 33.81°, I 690, hkl 1 1 2
- 2θ = 35.96°, I 296, hkl 0 2 0


(2)
For PmTl2AgSb2, DFT lattice parameters and positions (GGA-PBE) gives the computed powder X-ray diffraction pattern in this record (Cu Kα (weighted mean of Kα1 and Kα2)).

Structural model:
```
data_PmTl2AgSb2
_chemical_formula_sum 'Pm2 Tl4 Ag2 Sb4'
_symmetry_space_group_name_H-M 'P m c 21'
_symmetry_Int_Tables_number 26
_symmetry_space_group_name_Hall 'P 2c -2'
_cell_length_a 4.745
_cell_length_b 10.228
_cell_length_c 7.532
_cell_angle_alpha 90.00
_cell_angle_beta 90.00
_cell_angle_gamma 90.00
loop_
_atom_site_label
_atom_site_fract_x
_atom_site_fract_y
_atom_site_fract_z
Pm1 0.000 0.035 0.000
Tl1 0.000 0.363 0.348
Tl2 0.500 0.380 0.007
Ag1 0.500 0.149 0.666
Sb1 0.000 0.283 0.753
Sb2 0.500 0.119 0.275
```

Peak list (10 most intense, 5 to 70 degrees two-theta, low angle first)
- 2θ = 28.26°, I 1000, hkl 1 2 1
- 2θ = 28.74°, I 191, hkl 0 3 1
- 2θ = 29.46°, I 157, hkl 0 2 2
- 2θ = 31.57°, I 822, hkl 1 1 2
- 2θ = 32.33°, I 276, hkl 1 3 0
- 2θ = 35.11°, I 272, hkl 0 4 0
- 2θ = 36.86°, I 230, hkl 0 1 3
- 2θ = 37.93°, I 432, hkl 2 0 0
- 2θ = 40.04°, I 219, hkl 1 4 0
- 2θ = 64.53°, I 304, hkl 1 4 4

* * * * *

Record 1
The following is a simulated PXRD pattern of SrCo2P2. It was derived from the GGA-PBE geometry in the Materials Project, using Cu Kα, 1.54184 Å.

Peak list (10 most intense, 2θ from 10° to 90°, in order of rising 2θ)
15.27 deg, I = 220; 24.72 deg, I = 198; 30.82 deg, I = 295; 33.09 deg, I = 788; 36.95 deg, I = 1000; 48.02 deg, I = 456; 58.15 deg, I = 184; 58.89 deg, I = 445; 59.56 deg, I = 272; 82.13 deg, I = 177

Atomic structure:
```
SrCo2P2
1.0
3.7893 0.0000 0.0000
0.0000 3.7893 0.0000
0.0000 0.0000 11.6043
Sr Co P
2 4 4
Direct
0.0000 0.0000 0.0000
0.5000 0.5000 0.5000
0.0000 0.5000 0.2500
0.0000 0.5000 0.7500
0.5000 0.0000 0.2500
0.5000 0.0000 0.7500
0.0000 0.0000 0.3489
0.0000 0.0000 0.6511
0.5000 0.5000 0.1511
0.5000 0.5000 0.8489
```
- - -

One year, whether it is long or not, is not short.

No matter how fast you can cultivate your innate body-shattering invisible sword energy, it is still limited.

Unless there are many natural and earthly treasures like dragon fruit pulp that can be taken regularly to increase strength infinitely, then there is hope of defeating that perverted Zijinhou!

Granny Chi suddenly handed a book with an old and dull cover to Yue Yang, and said with a smile: "Maybe the Marquis of Zijin will come again, I don't like to fight, the best way to deal with it is to avoid it and not to fight, it might be a good idea to go out and travel." Way, or go to the Tongtian Tower and find some old friends to gather together. This 'pharmacopoeia' is useless in my hands, why don't you keep it!"

=====
# 1
# TiCr2Te4
Calculated powder diffractogram, Cu Kα, 1.54184 Å. Input: a crystal structure in Alexandria, relaxed with PBE.
No peak broadening, texture or thermal motion is included.

Top 10 peaks for 5° ≤ 2θ ≤ 70°, low angle first:
two_theta  d [Å]  intensity
28.6  3.120  26
28.9  3.088  31
29.2  3.059  49
29.5  3.025  100
29.7  3.011  61
38.8  2.320  36
39.0  2.308  27
44.8  2.022  56
45.9  1.975  26
51.4  1.777  23

Atomic structure:
Lattice parameters (Å, degrees): 7.4055 7.4055 7.0621 117.88 117.88 30.94
Atoms (fractional coordinates):
Ti: 0.0000 0.0000 0.0000
Cr: 0.2575 0.2575 0.2743
Cr: 0.7425 0.7425 0.7257
Te: 0.1229 0.1229 0.4503
Te: 0.3671 0.3671 0.0331
Te: 0.6329 0.6329 0.9669
Te: 0.8771 0.8771 0.5497


# 2
# SmZn2Au6
Calculated powder diffractogram, Cu Kα, 1.54184 Å. Input: a crystal structure in Alexandria, relaxed with PBE.
No peak broadening, texture or thermal motion is included.

Top 10 peaks for 5° ≤ 2θ ≤ 70°, low angle first:
two_theta  d [Å]  intensity
21.3  4.173  17
25.0  3.559  12
30.3  2.951  85
37.3  2.410  8
39.7  2.272  5
43.4  2.087  100
48.8  1.866  4
53.8  1.704  23
58.5  1.577  5
63.0  1.476  17

Atomic structure:
Lattice parameters (Å, degrees): 8.3469 8.3469 8.3469 60.00 60.00 60.00
Atoms (fractional coordinates):
Sm: 0.1250 0.1250 0.1250
Sm: 0.8750 0.8750 0.8750
Zn: 0.0000 0.5000 0.5000
Zn: 0.5000 0.0000 0.5000
Zn: 0.5000 0.5000 0.0000
Zn: 0.5000 0.5000 0.5000
Au: 0.1239 0.1239 0.6261
Au: 0.1239 0.6261 0.1239
Au: 0.1239 0.6261 0.6261
Au: 0.3739 0.3739 0.8761
Au: 0.3739 0.8761 0.3739
Au: 0.3739 0.8761 0.8761
Au: 0.6261 0.1239 0.1239
Au: 0.6261 0.1239 0.6261
Au: 0.6261 0.6261 0.1239
Au: 0.8761 0.3739 0.3739
Au: 0.8761 0.3739 0.8761
Au: 0.8761 0.8761 0.3739


# 3
# PrGa4Pd6
Calculated powder diffractogram, Cu Kα, 1.54184 Å. Input: a crystal structure in Alexandria, relaxed with PBE.
No peak broadening, texture or thermal motion is included.

Top 10 peaks for 5° ≤ 2θ ≤ 70°, low angle first:
two_theta  d [Å]  intensity
33.2  2.701  22
36.1  2.487  100
37.3  2.412  34
42.5  2.127  10
43.9  2.061  36
45.7  1.986  26
48.6  1.875  13
49.5  1.842  24
60.4  1.533  16
69.6  1.350  17

Atomic structure:
Lattice parameters (Å, degrees): 7.3681 7.3681 3.9711 90.00 90.00 120.00
Atoms (fractional coordinates):
Pr: 0.0000 0.0000 0.0000
Ga: 0.2004 0.4009 0.5000
Ga: 0.2004 0.7996 0.5000
Ga: 0.5991 0.7996 0.5000
Ga: 0.6667 0.3333 0.0000
Pd: 0.0676 0.5338 0.0000
Pd: 0.3994 0.1997 0.5000
Pd: 0.4662 0.5338 0.0000
Pd: 0.4662 0.9324 0.0000
Pd: 0.8003 0.1997 0.5000
Pd: 0.8003 0.6006 0.5000


# 4
# Hf5TiP4
Calculated powder diffractogram, Cu Kα, 1.54184 Å. Input: a crystal structure in Alexandria, relaxed with PBE.
No peak broadening, texture or thermal motion is included.

Top 10 peaks for 5° ≤ 2θ ≤ 70°, low angle first:
two_theta  d [Å]  intensity
30.2  2.955  40
30.8  2.905  75
31.5  2.837  36
35.4  2.532  100
36.4  2.470  37
50.8  1.796  45
51.2  1.785  16
52.5  1.742  26
60.1  1.538  13
64.1  1.452  14

Atomic structure:
=====

Yue Yang saw two dark golden runes on the cover of the ancient book, and guessed that it was the word 'pharmacopoeia'.

Reaching out to look through it again, I found that it was full of prescriptions and methods of refining medicine.

Most of the refining medicines are not ordinary refining, but are specially marked as "innate refining", and I suddenly realized why Grandma Chi gave it to me. I said it was innate, and this pharmacopoeia can only be mastered by myself. Useful.

However, Yue Yang was a little bit hesitant to take other people's things softly.

In case this mother-in-law Chi wants to offer some strict conditions, it's not easy for me to refuse her.

Maybe because she saw what Yue Yang was thinking, Granny Chi showed a smile on her brows and nodded slightly: "Grandma is old, if you can get the branch of life glow, the water of the river of immortality, the fountain of life, the wish epiphyllum and the dream Fruits and other medicines are used to refine the 'Pill of Immortality', so how about giving one to my mother-in-law?"

"Okay!" Yue Yang wrote a bad check when he heard it, this is not easy!

He immediately agreed, and hurriedly put the 'pharmacopoeia' into his arms, his hands were as quick as a thief.

The mysterious beauty saw it, and gave him an extremely coquettish white eye.

This trick is useless to Yue Yang, Yue Yang thinks she is flirting with him!

Saying goodbye to the hospitable Granny Chi, Yue Yang and the mysterious beauty went out of the water gate and returned to the shore. The mysterious beauty took out the teleportation scroll and was about to leave. I kicked in the ass, do you want to be irresponsible?"

The mysterious beauty sweated profusely: "Isn't that because you needed to confuse the enemy in that way in the battle? Besides, you also kicked him later, wouldn't the two be even? Well, you kicked me later to retaliate!"

When Yue Yang heard it, he quickly waved his hands: "It's not revenge, I was protecting you from getting hurt, I worked hard, and it's different from you deliberately kicking me. My parents said that anyone who kicks my ass will be punished." Compensate one of my daughters-in-law, you have to compensate me for kicking my ass, this rule cannot be broken." When he said such shameless words, the mysterious beauty almost fell to the ground, and said with a headache: "Then Why don't you think about it and kick him? Just because you have parents? Isn't his body precious? You are making trouble for no reason! No, you are shameless!"

"No, I'm very reasonable. I've decided that I'll pay you a husband too, if you need it!" Student Yue Yang smiled, smiling brightly and triumphantly. Of course, he also laughed wolfishly.

"Don't be stinky, who cares about it!" The mysterious beauty raised the ancient book in her hand and slapped him away.